Maintenance Fee The Maintenance Fee (SEE SCHEDULE - ACCUMULATION PERIOD) will be deducted during the Accumulation Period from the Account Value on each anniversary of the Account Effective Date and upon withdrawal of the entire Account.
License Maintenance Fee LICENSEE will pay to REGENTS an annual license maintenance fee of [Written amount] U.S. Dollars ($Number) on the one (1) year anniversary date of the Effective Date and on each anniversary of the Effective Date thereafter. Notwithstanding the foregoing, the license maintenance fee will not be due and payable on any anniversary of the Effective Date, if on such date the LICENSEE is selling LICENSED PRODUCTS or LICENSED METHODS, and LICENSEE pays an earned royalty to REGENTS.
Annual Maintenance Fee In consideration of the license granted to Licensee under Section 2.1, Licensee shall pay Licensor on-going annual maintenance fees of **** on each anniversary of the Effective Date.
Maintenance Fees In case the Current account balance is less than a specific amount determined by the Bank management (subject to amendment from time to time), then the Bank may impose charges against the account’s maintenance which will be advertised at the Bank’s website and branches.
License Maintenance Fees Licensee will pay license fees in the amounts set forth in Sections 3.1(d) of the Patent & Technology License Agreement in accordance with the stated schedule.
License Fee The Licensee to shall make payment of the License Fee to Licensor on the date of this Agreement. All rights granted to Licensee by Producer in the Beat are conditional upon Licensee’s timely payment of the License Fee. The License Fee is a one-time payment for the rights granted to Licensee and this Agreement is not valid until the License Fee has been paid.
== Misplaced crystal structures ==
~~~
This record from the Materials Project database describes a relaxed structure of Li4CrP6H8O22. The functional is GGA+U.

Calculated values
- Space-group type: P2_1/c (14)
- Energy relative to the lowest polymorph listed for this composition: 19 meV per atom
- Size of the total moment: 4.000 μB/f.u.
- Calculated total energy: -6.311 eV per atom

a = 8.1587 Å, b = 15.3805 Å, c = 7.4854 Å
α = 90.00°, β = 94.17°, γ = 90.00°
Closest atoms and distances in Å follow each position.
Fractional coordinates of all 82 atoms:
Li 0.1104 0.1132 0.1406  3 O 1.94-2.04
Li 0.1104 0.3868 0.6406  3 O 1.94-2.04
Li 0.3425 0.7243 0.4674  3 O 1.90-2.07
Li 0.3425 0.7757 0.9674  3 O 1.90-2.07
Li 0.6575 0.2243 0.0326  3 O 1.90-2.07
Li 0.6575 0.2757 0.5326  3 O 1.90-2.07
Li 0.8896 0.6132 0.3594  3 O 1.94-2.04
Li 0.8896 0.8868 0.8594  3 O 1.94-2.04
Cr 0.5000 0.0000 0.0000  4 O 2.05-2.21
Cr 0.5000 0.5000 0.5000  4 O 2.05-2.21
P 0.0274 0.6777 0.7399  4 O 1.48-1.65
P 0.0274 0.8223 0.2399  4 O 1.48-1.65
P 0.1917 0.0633 0.5637  4 O 1.49-1.63
P 0.1917 0.4367 0.0637  4 O 1.49-1.63
P 0.3185 0.1834 0.8360  4 O 1.50-1.65
P 0.3185 0.3166 0.3360  4 O 1.50-1.65
P 0.6815 0.6834 0.6640  4 O 1.50-1.65
P 0.6815 0.8166 0.1640  4 O 1.50-1.65
P 0.8083 0.5633 0.9363  4 O 1.49-1.63
P 0.8083 0.9367 0.4363  4 O 1.49-1.63
P 0.9726 0.1777 0.7601  4 O 1.48-1.65
P 0.9726 0.3223 0.2601  4 O 1.48-1.65
H 0.2482 0.5791 0.6289  1 O 1.00
H 0.2482 0.9209 0.1289  1 O 1.00
H 0.3095 0.5087 0.7708  1 O 1.01
H 0.3095 0.9913 0.2708  1 O 1.01
H 0.3238 0.5856 0.2502  1 O 1.02
H 0.3238 0.9144 0.7502  1 O 1.02
H 0.4901 0.6446 0.2678  1 O 0.99
H 0.4901 0.8554 0.7678  1 O 0.99
H 0.5099 0.1446 0.2322  1 O 0.99
H 0.5099 0.3554 0.7322  1 O 0.99
H 0.6762 0.0856 0.2498  1 O 1.02
H 0.6762 0.4144 0.7498  1 O 1.02
H 0.6905 0.0087 0.7292  1 O 1.01
H 0.6905 0.4913 0.2292  1 O 1.01
H 0.7518 0.0791 0.8711  1 O 1.00
H 0.7518 0.4209 0.3711  1 O 1.00
O 0.0234 0.1127 0.6038  2 P 1.62
O 0.0234 0.3873 0.1038  2 P 1.62
O 0.0590 0.6267 0.5727  1 P 1.52
O 0.0590 0.8733 0.0727  1 P 1.52
O 0.1430 0.2353 0.7952  2 P 1.65
O 0.1430 0.2647 0.2952  2 P 1.65
O 0.1601 0.7358 0.8162  1 P 1.48
O 0.1601 0.7642 0.3162  1 P 1.48
O 0.2021 0.5223 0.1574  1 P 1.49, 1 H 1.52
O 0.2021 0.9777 0.6574  1 P 1.49, 1 H 1.52
O 0.2048 0.0653 0.3644  1 P 1.50, 1 H 1.61
O 0.2048 0.4347 0.8644  1 P 1.50, 1 H 1.61
O 0.2943 0.1191 0.9842  1 P 1.51
O 0.2943 0.3809 0.4842  1 P 1.51
O 0.3302 0.1311 0.6495  2 P 1.62-1.63
O 0.3302 0.3689 0.1495  2 P 1.62-1.63
O 0.3511 0.5514 0.6824  2 H 1.00-1.01
O 0.3511 0.9486 0.1824  2 H 1.00-1.01
O 0.4113 0.6126 0.3373  2 H 0.99-1.02
O 0.4113 0.8874 0.8373  2 H 0.99-1.02
O 0.4583 0.2465 0.8560  1 P 1.50
O 0.4583 0.2535 0.3560  1 P 1.50
O 0.5417 0.7465 0.6440  1 P 1.50
O 0.5417 0.7535 0.1440  1 P 1.50
O 0.5887 0.1126 0.1627  2 H 0.99-1.02
O 0.5887 0.3874 0.6627  2 H 0.99-1.02
O 0.6489 0.0514 0.8176  2 H 1.00-1.01
O 0.6489 0.4486 0.3176  2 H 1.00-1.01
O 0.6698 0.6311 0.8505  2 P 1.62-1.63
O 0.6698 0.8689 0.3505  2 P 1.62-1.63
~~~
INTERIM MAINTENANCE PERIOD During the interim maintenance period between obtaining of the completion certificate of such Project and formation and operationalization of the Association the Promoter shall through itself or through a facility management company to run, operate, manage and maintain the Common Areas. The Promoter shall endeavour that the committee responsible for the maintenance and operation of the Common Areas will be required to provide manpower for maintaining the Common Areas, wherever required, and to collect maintenance charges and also guest charges and the user charges for the utilities being provided on “pay by use” basis, if any. The maintenance and management of Common Areas by the committee will primarily include but not limited to maintenance of water works, common electrical installations, DG Sets, landscaping, driveways, parking areas, lobbies, lifts and staircases, AMC’s etc. It will also include safety and security of the Project such as fire detection and protection and management of general security control of the Project. The Rules/ Bye Laws to regulate the use and maintenance of the Common Areas shall during the interim maintenance period shall be framed by the Promoter with such restrictions as may be necessary for proper maintenance and all the Allottees are bound to follow the same. After the Common Areas of the Project are handed over to the Association, the Association may adopt the Rules and the Bye laws framed by the Promoter, with or without amendments, as may be deemed necessary by the Association.
License Fees If so provided in the Prospectus, the Depositor may enter into a Licensing Agreement (the "Agreement") with a licensor (the "Licensor") described in the Prospectus in which the Trust(s), as consideration for the licenses granted by the Licensor for the right to use its trademarks and trade names, intellectual property rights or for the use of databases and research owned by the Licensor, will pay a fee set forth in the Agreement to the applicable Licensor or the Depositor to reimburse the Depositor for payment of the expenses. If the Agreement provides for an annual license fee computed in whole or part by reference to the average daily net asset value of the Trust assets, for purpose of calculating the accrual of estimated expenses such annual fee shall accrue at a daily rate and the Trustee is authorized to compute an estimated license fee payment (i) until the Depositor has informed the Trustee that there will be no further deposits of additional Securities, by reference to an estimate of the average daily net asset value of the Trust assets which the Depositor shall provide the Trustee, (ii) thereafter and during the calendar quarter in which the last business day of the period described in clause (i) occurs, by reference to the net asset value of the Trust assets as of such last business day, and (iii) during each subsequent calendar quarter, by reference to the net asset value of the Trust assets as of the last business day of the preceding calendar quarter. The Trustee shall adjust the net asset value (Trust Fund Evaluation) as of the dates specified in the preceding sentence to account for any variation between accrual of estimated license fee and the license fee payable pursuant to the Agreement, but such adjustment shall not affect calculations made prior thereto and no adjustment shall be made in respect thereof. (17) Sections 2.05(a) and 2.05(b) are hereby amended and replaced in their entirety with the following:
Application Fee Prior to the Resident being accepted to The Residence, a non-refundable Application Fee of $100 must be made. This Application Fee applies to each application and is not refundable in the event of cancellation or withdrawal of the Resident’s application. The amount of the Application Fee is detailed in Table 4.
Additional Reserve Costs (a) If and so long as any Lender is required after the date hereof to make special deposits with the Bank of England, to maintain reserve asset ratios or to pay fees, in each case in respect of such Lender’s Eurocurrency Loans in any Designated Foreign Currency, such Lender may require the relevant Borrower to pay, contemporaneously with each payment of interest on each of such Loans, additional interest on such Loan at a rate per annum equal to the Mandatory Costs Rate calculated in accordance with the formula and in the manner set forth in Exhibit C hereto. (b) If and so long as any Lender is required to comply with reserve assets, liquidity, cash margin or other requirements of any monetary or other authority (including any such requirement imposed by the Board or by European Central Bank or the European System of Central Banks, but excluding requirements reflected in the Mandatory Costs Rate) in respect of any of such Lender’s Eurocurrency Loans, such Lender may require the relevant Borrower to pay, contemporaneously with each payment of interest on each of such Lender’s Eurocurrency Loans subject to such requirements, additional interest on such Loan at a rate per annum specified by such Lender to be the cost to such Lender of complying with such requirements in relation to such Loan. (c) Any additional interest owed pursuant to paragraph (a) or (b) above shall be determined by the relevant Lender, which determination shall be presumed correct in the absence of facts or circumstances indicating that it has been made in error, and notified to the relevant Borrower (with a copy to the Applicable Agent) at least five Business Days before each date on which interest is payable for the relevant Loan, and such additional interest so notified to the relevant Borrower by such Lender shall be payable to the Applicable Agent for the account of such Lender on each date on which interest is payable for such Loan.